Miller's The Unconscious & the Speaking Body

********
(1)
# Tb2BiBr, optimized geometry, DFT GGA-PBE
# Energy relative to the lowest polymorph listed for this composition   0.0000 eV per atom
# E_form (uncorrected)   -0.8231 eV per atom
data_Tb2BiBr
_chemical_formula_sum 'Tb2 Bi1 Br1'
_symmetry_space_group_name_H-M 'P 1'
_symmetry_Int_Tables_number 1
_cell_length_a 8.065
_cell_length_b 8.065
_cell_length_c 8.065
_cell_angle_alpha 30.50
_cell_angle_beta 30.50
_cell_angle_gamma 30.50
loop_
_symmetry_equiv_pos_as_xyz
'x,y,z'
loop_
_atom_site_label
_atom_site_fract_x
_atom_site_fract_y
_atom_site_fract_z
Tb1 0.000 0.000 0.000
Tb2 0.174 0.174 0.174
Bi1 0.588 0.588 0.588
Br1 0.418 0.418 0.418

(2)
# Tc3BiBr, optimized geometry, DFT GGA-PBE
# Energy relative to the lowest polymorph listed for this composition   0.0000 eV per atom
# E_form (uncorrected)   1.4982 eV per atom
data_Tc3BiBr
_chemical_formula_sum 'Tc3 Bi1 Br1'
_symmetry_space_group_name_H-M 'P 1'
_symmetry_Int_Tables_number 1
_cell_length_a 4.654
_cell_length_b 4.654
_cell_length_c 4.654
_cell_angle_alpha 90.00
_cell_angle_beta 90.00
_cell_angle_gamma 90.00
loop_
_symmetry_equiv_pos_as_xyz
'x,y,z'
loop_
_atom_site_label
_atom_site_fract_x
_atom_site_fract_y
_atom_site_fract_z
Tc1 0.000 0.000 0.500
Tc2 0.000 0.500 0.000
Tc3 0.500 0.000 0.000
Bi1 0.500 0.500 0.500
Br1 0.000 0.000 0.000

(3)
# TcBi2Br, optimized geometry, DFT GGA-PBE
# Energy relative to the lowest polymorph listed for this composition   0.1841 eV per atom
# E_form (uncorrected)   0.6897 eV per atom
data_TcBi2Br
_chemical_formula_sum 'Tc1 Bi2 Br1'
_symmetry_space_group_name_H-M 'P 1'
_symmetry_Int_Tables_number 1
_cell_length_a 5.199
_cell_length_b 5.199
_cell_length_c 5.199
_cell_angle_alpha 60.00
_cell_angle_beta 60.00
_cell_angle_gamma 60.00
loop_
_symmetry_equiv_pos_as_xyz
'x,y,z'
loop_
_atom_site_label
_atom_site_fract_x
_atom_site_fract_y
_atom_site_fract_z
Tc1 0.000 0.000 0.000
Bi1 0.250 0.250 0.250
Bi2 0.750 0.750 0.750
Br1 0.500 0.500 0.500

(4)
# Tc3BiBr, optimized geometry, DFT GGA-PBE
# Energy relative to the lowest polymorph listed for this composition   0.7552 eV per atom
# E_form (uncorrected)   2.2533 eV per atom
data_Tc3BiBr
_chemical_formula_sum 'Tc3 Bi1 Br1'
_symmetry_space_group_name_H-M 'P 1'
_symmetry_Int_Tables_number 1
_cell_length_a 5.227
_cell_length_b 5.227
_cell_length_c 5.227
_cell_angle_alpha 90.00
_cell_angle_beta 90.00
_cell_angle_gamma 90.00
loop_
_symmetry_equiv_pos_as_xyz
'x,y,z'
loop_
_atom_site_label
_atom_site_fract_x
_atom_site_fract_y
_atom_site_fract_z
Tc1 0.000 0.000 0.500
Tc2 0.000 0.500 0.000
Tc3 0.500 0.000 0.000
Bi1 0.000 0.000 0.000
Br1 0.500 0.500 0.500

(5)
# TcBi2Br, optimized geometry, DFT GGA-PBE
# Energy relative to the lowest polymorph listed for this composition   0.0000 eV per atom
# E_form (uncorrected)   0.5056 eV per atom
data_TcBi2Br
_chemical_formula_sum 'Tc2 Bi4 Br2'
_symmetry_space_group_name_H-M 'P 1'
_symmetry_Int_Tables_number 1
_cell_length_a 8.002
_cell_length_b 8.002
_cell_length_c 8.002
_cell_angle_alpha 129.80
********

I’ve been thinking about a bunch: How is the practice of psychoanalysis today different than it was in the past?

One of the things that I’ve been reading as I consider this question is is Jacques-Alain Miller’s "The Unconscious and the Speaking Body,” which is a presentation that Miller gave in 2016.

Here are some quotes from what Miller wrote/said:

Psychoanalysis is changing. This is not a desire, but a fact.
…with certain lightning bolts that come shooting through the dark clouds of Lacan's remarks, he manages to indicate a depth that instructs us as to what psychoanalysis is becoming, and which no longer entirely conforms to what one reckoned it to be.

Right off the bat, Miller is saying that Lacan understood something very important about psychoanalysis, something that the IPA either repressed or disavowed: the time/place that Freud created psychoanalysis from is no longer the time/place the space that the subjects of today occupy. Lacan was not interested in conforming to doing psychoanalysis in a particular way just because “that is always the way it has been done.” No! Lacan was interested in what psychoanalysis was becoming, what it could be, how it was useful as a clinical practice to those who are alive now.

Miller elaborates on this more when he says,

…we cannot fail to see that there has been a break, when Freud invented psychoanalysis under the aegis, as it were, of the reign of Queen Victoria, a paragon of the suppression of sexuality, whereas the twenty-first century is seeing the vast spread of what is called "porno", which amounts to coitus on show in a spectacle that is accessible to anyone on the web by means of a simple click of the mouse. From Victoria to porno, we have not only passed from prohibition to permission. […] This clinic of pornography belongs to the twenty-first century.

/*
# Sc5Al3 PBEsol relaxed
data_Sc5Al3
_chemical_formula_sum 'Sc5 Al3'
_cell_length_a 3.116
_cell_length_b 3.116
_cell_length_c 16.549
_cell_angle_alpha 90.00
_cell_angle_beta 90.00
_cell_angle_gamma 90.00
_symmetry_space_group_name_H-M 'P 4/m m m'
_symmetry_Int_Tables_number 123
_symmetry_space_group_name_Hall '-P 4 2'
loop_
_atom_site_label
_atom_site_fract_x
_atom_site_fract_y
_atom_site_fract_z
Sc1 0.000 0.000 0.000
Sc2 0.000 0.000 0.236
Sc3 0.500 0.500 0.381
Al1 0.000 0.000 0.500
Al2 0.500 0.500 0.118
# crystal system: tetragonal
# Fermi-level density of states: 6.8 states/eV/cell
# E_form: -2.81 eV/f.u.
# relative energy among the computed polymorphs: 0.0000 eV per atom


First-principles (PBE-GGA) data for a relaxed structure of SrPdRhO4, as listed in Alexandria via LeMat-Bulk.

Cell and atoms, written as POSCAR:
```
SrPdRhO4
1.0
-1.956 5.237 2.390
-4.563 -3.428 -3.955
0.942 -2.240 5.679
O Pd Rh Sr
8 2 2 2
direct
0.692 0.383 0.654
0.279 0.969 0.234
0.690 0.969 0.234
0.310 0.031 0.766
0.308 0.617 0.346
0.692 0.383 0.230
0.308 0.617 0.770
0.721 0.031 0.766
0.000 0.500 0.500
0.500 0.500 0.500
0.500 0.000 0.500
0.500 0.000 0.000
0.153 0.307 0.903
0.847 0.693 0.097
```

Space-group type: Imma
Energy relative to the elements, uncorrected: -8.3 eV per formula unit
Final energy: -84.7 eV per cell

=====

First-principles (PBE-GGA) data for a relaxed structure of HfMn2, as listed in Alexandria via LeMat-Bulk.

Cell and atoms, written as POSCAR:
```
HfMn2
1.0
2.447 -4.238 0.000
2.447 4.238 0.000
0.000 0.000 8.160
Mn Hf
8 4
direct
0.829 0.171 0.250
0.000 0.000 0.000
0.829 0.659 0.250
0.659 0.829 0.750
0.341 0.171 0.250
0.000 0.000 0.500
0.171 0.829 0.750
0.171 0.341 0.750
0.667 0.333 0.564
0.333 0.667 0.064
0.667 0.333 0.936
0.333 0.667 0.436
```

Space-group type: P6_3/mmc
Energy of formation from the pure elements: -0.258 eV/atom
Final energy: -116.3 eV per cell

=====

First-principles (PBE-GGA) data for a relaxed structure of TiMnNb, as listed in Alexandria via LeMat-Bulk.

Cell and atoms, written as POSCAR:
```
TiMnNb
1.0
-3.631 0.514 0.554
0.367 -2.786 4.986
1.727 7.701 4.176
Nb Mn Ti
4 4 4
direct
0.250 0.250 0.301
0.750 0.250 0.801
0.250 0.750 0.301
0.750 0.750 0.801
0.750 0.000 0.421
0.250 0.000 0.921
0.250 0.500 0.681
0.750 0.500 0.181
0.250 0.500 0.009
0.750 0.500 0.509
0.750 0.000 0.094
0.250 0.000 0.594
```

Space-group type: Cmcm
Energy above the lowest structure with this stoichiometry: 0.73 eV/f.u.
Energy of formation from the pure elements: 0.117 eV/atom
Final energy: -107.1 eV per cell

=====

First-principles (PBE-GGA) data for a relaxed structure of LiTl2BiBr6, as listed in Alexandria via LeMat-Bulk.

Cell and atoms, written as POSCAR:
```
LiTl2BiBr6
1.0
7.602 0.000 -0.003
0.000 7.996 0.000
0.066 0.000 10.920
Br Tl Li Bi
12 4 2 2
direct
0.191 0.201 0.453
0.905 0.517 0.256
0.095 0.483 0.744
0.809 0.799 0.547
0.595 0.017 0.244
0.309 0.701 0.047
0.802 0.803 0.955
0.302 0.697 0.455
0.405 0.983 0.756
0.198 0.197 0.045
0.698 0.303 0.545
*/
End of the data records >

In the Victorian era, when Freud started to create psychoanalysis, people were very prohibited. They were prohibited in who they dressed, spoke, and behaved. Compliance with a castrating Name-of-the-Father that was ruthless in the ways it enforced the desire of the Other. During the reign of Victoria, people were forced to live in a rigid class system, if you were a servant and you said you wanted to be something more people would respond by saying, “You shut up you! You’re a servant, and you best learn to like that, because a servant is the best you can hope to be!”

Today we live in a society where people are encouraged to “dream big,” or “love like you’ve never been hurt,” or “become the master of your destiny.” In short: in a society that demands that we give our selves permission to be happy (whatever that means).

We also live in a world where there are endless forms of titillation, where we can anesthetize ourselves from unwelcome thoughts and feelings via any number of distracting forms of amusement (pornography, which Miller references, being one such form of amusement).

Most of the ways we amuse ourselves now have to do with looking into a screen of some sort. We suffer from the symptom of being too gratified by technology.

It is a symptom of the empire of technology that now extends its reign over the most diverse civilizations across the globe, even the most restive ones. We should not surrender our arms faced with this symptom, or others from the same source. They require interpretation from psychoanalysis.

One of the effects of everything being permissible, and all of a person’s desire being gratified, is a desire for what Freud called a “primal father” figure who can and will prevent people from enjoying too much. I believe we see this in the rise of reactionary right-wing political figures and overly restrictive left-wing woker-than-thou speech police.

There is much more in this that I find interesting, but I’ll save that for another time.